**Wanted:**
The reader should duplicate the lines further down up to the one that holds "-0.7630 -0.4490", that line included.

**Source:**
~~~
3 unconnected molecules or ions with the total composition C20H39BrFN5O4P3. Source: the Open Molecules 2025 dataset; level of theory: wB97M-V/def2-TZVPD.

As for the charge: +1. As for the largest force on an atom: 10.0 eV/Å. For the total energy, the calculation gives -5057.5471 hartree. Its frontier orbital gap is 7.20 eV.

Bonds (Å) are listed after each position.
Element x y z (Å)
1 C 0.3158 -0.2765 3.1245  C2 1.673, H25 1.194, H26 1.170, H27 1.174
2 C -0.1453 0.7068 1.8518  C1 1.673, P3 1.882, H28 1.165, H29 1.194
3 P 1.0707 0.7567 0.4168  C2 1.882, C4 1.949, C6 1.901
4 C 1.9995 -0.9546 0.4942  P3 1.949, C5 1.639, H30 1.170, H31 1.192
5 C 3.2499 -0.9649 1.5534  C4 1.639, H32 1.173, H33 1.193, H34 1.171
6 C 0.3066 0.8233 -1.3229  P3 1.901, N7 1.521, C16 1.620, H35 1.195
7 N 1.3282 1.5497 -2.1850  C6 1.521, C8 1.495, H36 1.045
8 C 0.7495 2.5775 -3.1033  N7 1.495, N9 1.402, N11 1.509
9 N 1.6795 3.3398 -3.8248  C8 1.402, F10 1.353, H37 1.065
10 F 1.3544 4.3465 -4.6689  N9 1.353
11 N -0.6968 2.9485 -3.3215  C8 1.509, C12 1.540, H38 1.064
12 C -1.6419 1.7843 -2.9688  N11 1.540, P13 1.891, C16 1.637, H39 1.193
13 P -1.4734 0.5051 -4.3514  C12 1.891, O14 1.778, Br15 2.320
14 O 0.0968 -0.3291 -4.3148  P13 1.778, H40 1.007
15 Br -2.9549 -1.2588 -4.0777  P13 2.320
16 C -1.2260 1.3314 -1.4512  C6 1.620, C12 1.637, C17 1.629, P23 1.956
17 C -2.4006 0.3451 -0.9025  C16 1.629, C18 1.630, H41 1.194, H42 1.195
18 C -1.9783 -1.1836 -0.5281  C17 1.630, C19 1.673, H43 1.194, H44 1.170
19 C -3.0850 -1.8662 0.5249  C18 1.673, C20 1.641, H45 1.171, H46 1.194
20 C -4.5164 -2.2153 -0.1973  C19 1.641, O21 1.359, O22 1.472
21 O -5.2296 -3.2332 0.3529  C20 1.359
22 O -5.0315 -1.5386 -1.3985  C20 1.472, H47 1.003
23 P -1.4451 2.9817 -0.4248  C16 1.956, O24 1.579, H48 1.456, H49 1.470
24 O -0.0960 3.7828 -0.2471  P23 1.579
25 H -0.4433 0.0071 4.0013  C1 1.194
26 H 1.4090 -0.0124 3.4465  C1 1.170
27 H 0.1341 -1.4085 2.8735  C1 1.174
28 H -1.2516 0.4188 1.6251  C2 1.165
29 H -0.1848 1.7997 2.3317  C2 1.194
30 H 2.3319 -1.1779 -0.6053  C4 1.170
31 H 1.1947 -1.7887 0.7731  C4 1.192
32 H 4.1772 -1.4112 0.9907  C5 1.173
33 H 2.9628 -1.7592 2.3967  C5 1.193
34 H 3.4483 0.0488 2.1040  C5 1.171
35 H 0.3412 -0.3003 -1.7298  C6 1.195
36 H 2.1538 1.8763 -1.6343  N7 1.045
37 H 2.7211 3.1688 -3.6851  N9 1.065
38 H -0.9173 3.1149 -4.3494  N11 1.064
39 H -2.7554 2.2118 -2.9417  C12 1.193
40 H 0.5904 -0.0909 -5.1595  O14 1.007
41 H -3.3008 0.3981 -1.6855  C17 1.194
42 H -2.8633 0.8121 0.0951  C17 1.195
43 H -0.9385 -1.2792 0.0513  C18 1.194
44 H -1.9086 -1.9321 -1.4240  C18 1.170
45 H -3.1643 -1.2690 1.5286  C19 1.171
46 H -2.5993 -2.9180 0.8143  C19 1.194
47 H -5.0212 -2.2025 -2.1505  O22 1.003
48 H -2.0967 2.7405 0.8542  P23 1.456
49 H -2.3382 3.8674 -1.1855  P23 1.470
50 C -1.7035 0.0832 7.7209  C51 1.525, H55 1.095, H56 1.095, H57 1.096
51 C -2.8872 -0.8790 7.7357  C50 1.525, C52 1.530, H58 1.097, H59 1.096
52 C -2.7618 -1.9925 6.6940  C51 1.530, C53 1.520, H60 1.095, H61 1.095
53 C -2.6949 -1.3874 5.3011  C52 1.520, N54 1.261
54 N -2.6394 -0.8856 4.1457  C53 1.261
55 H -1.6215 0.6085 6.7641  C50 1.095
56 H -1.8223 0.8435 8.4993  C50 1.095
57 H -0.7630 -0.4490 7.9044  C50 1.096
58 H -3.8088 -0.3098 7.5628  C51 1.097
59 H -2.9678 -1.3279 8.7317  C51 1.096
60 H -3.6263 -2.6620 6.7539  C52 1.095
61 H -1.8591 -2.5867 6.8726  C52 1.095
62 C 4.6679 0.0644 -5.5333  C63 1.525, H67 1.095, H68 1.095, H69 1.096
63 C 5.2004 -1.0639 -4.6556  C62 1.525, C64 1.530, H70 1.097, H71 1.096
64 C 4.4986 -1.1437 -3.2984  C63 1.530, C65 1.520, H72 1.095, H73 1.095
65 C 4.7087 0.1537 -2.5348  C64 1.520, N66 1.261
66 N 4.8829 1.2299 -1.9013  C65 1.261
67 H 4.8367 1.0451 -5.0775  C62 1.095
68 H 5.1776 0.0650 -6.5021  C62 1.095
69 H 3.5930 -0.0524 -5.7132  C62 1.096
70 H 6.2780 -0.9209 -4.5094  C63 1.097
71 H 5.0702 -2.0156 -5.1825  C63 1.096
72 H 4.9057 -1.9751 -2.7134  C64 1.095
73 H 3.4247 -1.3148 -3.4300  C64 1.095
~~~

**Here it is:**
3 unconnected molecules or ions with the total composition C20H39BrFN5O4P3. Source: the Open Molecules 2025 dataset; level of theory: wB97M-V/def2-TZVPD.

As for the charge: +1. As for the largest force on an atom: 10.0 eV/Å. For the total energy, the calculation gives -5057.5471 hartree. Its frontier orbital gap is 7.20 eV.

Bonds (Å) are listed after each position.
Element x y z (Å)
1 C 0.3158 -0.2765 3.1245  C2 1.673, H25 1.194, H26 1.170, H27 1.174
2 C -0.1453 0.7068 1.8518  C1 1.673, P3 1.882, H28 1.165, H29 1.194
3 P 1.0707 0.7567 0.4168  C2 1.882, C4 1.949, C6 1.901
4 C 1.9995 -0.9546 0.4942  P3 1.949, C5 1.639, H30 1.170, H31 1.192
5 C 3.2499 -0.9649 1.5534  C4 1.639, H32 1.173, H33 1.193, H34 1.171
6 C 0.3066 0.8233 -1.3229  P3 1.901, N7 1.521, C16 1.620, H35 1.195
7 N 1.3282 1.5497 -2.1850  C6 1.521, C8 1.495, H36 1.045
8 C 0.7495 2.5775 -3.1033  N7 1.495, N9 1.402, N11 1.509
9 N 1.6795 3.3398 -3.8248  C8 1.402, F10 1.353, H37 1.065
10 F 1.3544 4.3465 -4.6689  N9 1.353
11 N -0.6968 2.9485 -3.3215  C8 1.509, C12 1.540, H38 1.064
12 C -1.6419 1.7843 -2.9688  N11 1.540, P13 1.891, C16 1.637, H39 1.193
13 P -1.4734 0.5051 -4.3514  C12 1.891, O14 1.778, Br15 2.320
14 O 0.0968 -0.3291 -4.3148  P13 1.778, H40 1.007
15 Br -2.9549 -1.2588 -4.0777  P13 2.320
16 C -1.2260 1.3314 -1.4512  C6 1.620, C12 1.637, C17 1.629, P23 1.956
17 C -2.4006 0.3451 -0.9025  C16 1.629, C18 1.630, H41 1.194, H42 1.195
18 C -1.9783 -1.1836 -0.5281  C17 1.630, C19 1.673, H43 1.194, H44 1.170
19 C -3.0850 -1.8662 0.5249  C18 1.673, C20 1.641, H45 1.171, H46 1.194
20 C -4.5164 -2.2153 -0.1973  C19 1.641, O21 1.359, O22 1.472
21 O -5.2296 -3.2332 0.3529  C20 1.359
22 O -5.0315 -1.5386 -1.3985  C20 1.472, H47 1.003
23 P -1.4451 2.9817 -0.4248  C16 1.956, O24 1.579, H48 1.456, H49 1.470
24 O -0.0960 3.7828 -0.2471  P23 1.579
25 H -0.4433 0.0071 4.0013  C1 1.194
26 H 1.4090 -0.0124 3.4465  C1 1.170
27 H 0.1341 -1.4085 2.8735  C1 1.174
28 H -1.2516 0.4188 1.6251  C2 1.165
29 H -0.1848 1.7997 2.3317  C2 1.194
30 H 2.3319 -1.1779 -0.6053  C4 1.170
31 H 1.1947 -1.7887 0.7731  C4 1.192
32 H 4.1772 -1.4112 0.9907  C5 1.173
33 H 2.9628 -1.7592 2.3967  C5 1.193
34 H 3.4483 0.0488 2.1040  C5 1.171
35 H 0.3412 -0.3003 -1.7298  C6 1.195
36 H 2.1538 1.8763 -1.6343  N7 1.045
37 H 2.7211 3.1688 -3.6851  N9 1.065
38 H -0.9173 3.1149 -4.3494  N11 1.064
39 H -2.7554 2.2118 -2.9417  C12 1.193
40 H 0.5904 -0.0909 -5.1595  O14 1.007
41 H -3.3008 0.3981 -1.6855  C17 1.194
42 H -2.8633 0.8121 0.0951  C17 1.195
43 H -0.9385 -1.2792 0.0513  C18 1.194
44 H -1.9086 -1.9321 -1.4240  C18 1.170
45 H -3.1643 -1.2690 1.5286  C19 1.171
46 H -2.5993 -2.9180 0.8143  C19 1.194
47 H -5.0212 -2.2025 -2.1505  O22 1.003
48 H -2.0967 2.7405 0.8542  P23 1.456
49 H -2.3382 3.8674 -1.1855  P23 1.470
50 C -1.7035 0.0832 7.7209  C51 1.525, H55 1.095, H56 1.095, H57 1.096
51 C -2.8872 -0.8790 7.7357  C50 1.525, C52 1.530, H58 1.097, H59 1.096
52 C -2.7618 -1.9925 6.6940  C51 1.530, C53 1.520, H60 1.095, H61 1.095
53 C -2.6949 -1.3874 5.3011  C52 1.520, N54 1.261
54 N -2.6394 -0.8856 4.1457  C53 1.261
55 H -1.6215 0.6085 6.7641  C50 1.095
56 H -1.8223 0.8435 8.4993  C50 1.095
57 H -0.7630 -0.4490 7.9044  C50 1.096